The Most Important Japanese Goju-ryu Master You've Never Heard Of

Yamaguchi Yoshimi (or Jitsumi, 1909-1989), better known in the West as "The Cat" or Yamaguchi Gogen, has virtually monopolized the press and legends about the development and spread of Goju-ryu karate in Japan and was its most visible and recognizable figure until his death in 1989.i Yamaguchi was also one of the most controversial figures in Goju-ryu, not only for mixing his martial art with the Japanese native religion of Shinto and with Yoga-neither of which innovations survived his passing-ii and for his mysterious and perhaps dark wartime activities, but because he built the largest international Goju-ryu "empire" based on very limited actual exposure to real experts in the Goju-ryu karate created and taught by Miyagi Chojun. Although many outsiders looked down on Yamaguchi and his form of Goju-ryu as of questionable authenticity and authority, he maintained close ties with several genuine Okinawan masters and students of Miyagi, including Miyagi's most senior disciple and successor, Yagi Meitoku (1912-2003), and was accepted by them as an equal. iii

But Yamaguchi never would have gotten his start without a little known partner-their exact relationship as student/teacher and sempai/kohai has remained very difficult to disentangle-named So Neichu. iv So, an ethnic Korean, was extremely important in helping Yamaguchi become established and in building his reputation. So kept Yamaguchi's fledgling Goju school alive while Yamaguchi was stationed overseas during World War II and subsequently held as a prisoner of war. So remained a high-ranking official in Japanese Goju-ryu organizations after the War, even as Yamaguchi eclipsed him in fame.

Quiet and unassuming, So was enormously strong and a powerful fighter who remained an important behind-the-scenes influence over Japanese Goju-ryu until his death in Japan around 2001. Yet, aside from a few references to his huge influence on another young Korean karate student-Choi Yongyi, who later changed his name to Oyama Masutatsu and created the worldwide hard-style karate empire, Kyokushinkai-little is known about So Neichu. This article attempts to piece together the few facts and many rumors or recollections about So in an effort to elevate him to the recognition and dignity he deserves as a founding member of Goju-ryu in Japan and one of its leading teachers as late as the 1980s and 1990s, when he was in his 80s.

[Molecular data, kept here for reference]
~~~
No. 1
Molecular formula: C25H50BrN2O5S
Method: DFT, ωB97M-V/def2-TZVPD

Calculated values
Molar mass in u: 570.66
HOMO-LUMO gap (alpha / beta) in Ha: 0.15359 / 0.17611
Total charge: +1
Multiplicity: 3
E_LUMO (alpha / beta) in eV: -6.14 / -6.14
HOMO level (alpha / beta) in eV: -10.319 / -10.932
<S²>: 2.010

XYZ file:
```
84
Properties=species:S:1:pos:R:3:mulliken_spin:R:1
C 3.16 -7.30 -2.49 0.000
O 3.15 -7.44 -3.95 0.000
C 4.27 -6.73 -4.59 0.000
S 4.68 -5.06 -3.86 0.000
Br 6.81 -4.65 -4.46 0.000
C 3.65 -3.67 -4.60 0.000
C 2.25 -3.35 -3.77 0.003
C 1.11 -4.39 -4.39 -0.001
O -0.24 -4.17 -3.85 0.000
C -1.19 -5.18 -4.36 0.000
C -0.83 -6.45 -5.34 0.000
O -2.49 -5.03 -4.02 0.000
H 4.19 -7.56 -1.98 0.000
H 2.73 -6.26 -2.10 0.000
H 2.39 -8.12 -2.07 0.000
H 5.25 -7.40 -4.66 0.000
H 3.95 -6.53 -5.72 0.000
H 4.30 -2.68 -4.50 0.000
H 3.38 -3.80 -5.73 0.000
H 1.88 -2.23 -3.91 0.000
H 2.45 -3.53 -2.62 -0.001
H 1.44 -5.47 -4.04 0.000
H 1.16 -4.30 -5.58 0.000
H -0.07 -6.16 -6.21 0.000
H -0.28 -7.34 -4.75 0.000
H -1.76 -6.92 -5.88 0.000
C -1.24 -1.58 -1.78 0.029
C -0.98 -2.13 -0.35 0.008
C -2.28 -2.08 0.50 0.018
C -2.65 -0.68 0.97 -0.017
C -1.49 -0.04 1.70 0.017
C -0.18 -0.02 0.87 0.005
N 0.15 -1.37 0.28 0.288
O 0.67 -2.16 1.33 0.648
C -0.33 1.03 -0.27 0.030
C 0.97 0.55 1.75 0.004
C -0.65 -3.65 -0.59 -0.014
H -2.27 -1.23 -1.91 0.000
H -0.57 -0.76 -2.06 -0.011
H -1.06 -2.33 -2.56 -0.005
H -2.17 -2.72 1.39 0.004
H -3.12 -2.50 -0.07 0.002
H -2.97 -0.07 0.12 0.002
H -3.52 -0.74 1.64 0.002
H -1.77 0.99 1.99 0.010
H -1.32 -0.58 2.65 0.000
H 0.54 1.01 -0.94 -0.013
H -0.38 2.05 0.15 0.000
H -1.23 0.90 -0.86 0.002
H 1.11 -0.02 2.68 0.001
H 0.76 1.58 2.06 -0.010
H 1.92 0.56 1.21 -0.002
H 0.29 -3.76 -1.15 0.005
H -1.45 -4.13 -1.17 0.000
H -0.56 -4.21 0.35 0.000
C -0.59 7.14 1.80 0.012
C -1.19 5.76 2.19 0.025
C -2.64 5.93 2.74 0.019
C -2.71 6.50 4.15 -0.015
C -1.85 5.67 5.10 0.014
C -0.38 5.53 4.61 0.033
N -0.29 5.08 3.17 0.301
O -0.58 3.70 3.14 0.626
C 0.35 6.88 4.80 0.010
C 0.37 4.57 5.59 -0.007
C -1.31 5.01 0.83 -0.022
H -1.28 7.97 2.01 0.000
H 0.35 7.36 2.30 -0.009
H -0.35 7.20 0.74 0.001
H -3.16 4.96 2.74 0.003
H -3.23 6.58 2.07 0.002
H -2.39 7.55 4.15 0.000
H -3.74 6.49 4.50 0.002
H -1.87 6.13 6.09 0.000
H -2.31 4.68 5.21 0.004
H 1.36 6.85 4.38 -0.006
H 0.45 7.13 5.87 0.000
H -0.18 7.73 4.35 0.000
H -0.11 3.59 5.67 0.000
H 0.40 4.98 6.60 0.000
H 1.41 4.41 5.27 0.001
H -0.32 4.81 0.40 0.000
H -1.88 5.60 0.10 0.000
H -1.84 4.05 0.91 0.003
```

No. 2
Molecular formula: C25H50ClN4O10S3
Method: DFT, ωB97M-V/def2-TZVPD

Calculated values
Molar mass in u: 698.35
HOMO-LUMO gap in Ha: 0.27613
Total charge: -1
E_LUMO in eV: 2.24
HOMO level in eV: -5.275
Energy above the lowest of the compared OMol25 structures with the same formula, charge and spin in eV: 16.571

XYZ file:
```
93
Properties=species:S:1:pos:R:3:mulliken_charge:R:1
Cl -0.40 0.38 -0.38 1.571
O 0.05 0.84 0.85 -0.101
O -0.75 -1.02 -0.40 -0.716
O -1.60 1.07 -0.73 -0.169
O 0.57 0.56 -1.39 -0.158
C -0.67 2.44 3.12 -0.035
~~~

So Neichu in his prime

Zainichi (Korean-Japanese) before the War

Before the Second World War, Korea was under the domination of the Japanese empire. Even as Japan exploited the region for its natural resources and built it up as an industrial center, many Koreans emigrated to Japan to advance their education and careers. Traditionally-and still today-most Japanese look down on Koreans and discriminate against them. Despite this, many ambitious Korean youths traveled to Japan in the 1920s and 1930s in search of education, jobs, and upward mobility. Not a few of these Koreans later became founding fathers of Korean martial arts such as Tang Soo Do, Tae Kwon Do, and Hapkido.v But that's another story. Several stayed in Japan and became famous as martial artists. Most changed their names to Japanese: Choi Yongyi, for example, went to Japan in 1938, at the age of 15, and joined the Yamanishi Youth Air Force Academy, intending to become a pilot in the Imperial Army. Linking up with Funakoshi Gichin at Takushoku University, however, he became fascinated with the Japanese martial arts, studied Shotokan and Goju-ryu as well as Judo, changed his name to Oyama Masutatsu, and eventually created his own Kyokushinkai association, fully integrated into both Japanese society and the Japanese martial arts scene.

So Neichu's journey is much less clear. Born in Japanese-occupied Korea in 1908, he became a leftist thinker and agitator for Korean independence as a student. vi Strangely, given his desire for Korean freedom from Japanese occupation, he moved to Osaka in 1931 and enrolled in Naniwa High School in Osaka to further his education. Apparently retaining his leftist leanings, he matriculated in Kyoto Imperial University a few years later, but within six months was expelled for his socialist activities and support of the communist movement. He moved to Ritsumeikan University in Kyoto where he entered a karate club organized off campus and not recognized by the school, which was run by Yamaguchi Yoshimi, who was just a year younger than So.

So's mysterious early karate journey

Accounts differ significantly about exactly what So's relationship was with Yamaguchi. The "official" line from the later Yamaguchi camp has it that So was Yamaguchi's top pupil and dai sempai, who helped teach at the club. Others have argued, however, that So was actually senior to Yamaguchi in karate, but that Yamaguchi-as a Japanese and because of his outgoing personality-took on the leadership role, relegating So to a subordinate position.vii Here are the facts, as best as I can discern them: